Message from @SPOOKY Phil, Ruler of Heck

Discord ID: 615679350607446047

2019-08-26 22:48:35 UTC  

god you people are intellectually dishonest

2019-08-26 22:48:40 UTC  

Now that I'm thinking about it the one FTM I know could probably kick my ass lol

2019-08-26 22:48:43 UTC  

Respect for Merlin: -10

2019-08-26 22:48:43 UTC  


2019-08-26 22:48:43 UTC  
2019-08-26 22:48:47 UTC  

and you obfuscate like school yard children to dismis a point

2019-08-26 22:48:49 UTC  


2019-08-26 22:48:54 UTC  

you just cant communicate properly

=====
[1]
Y2MgIn, optimized geometry, DFT GGA-PBEsol; formation energy = -0.300 eV per atom; DOS(E_F) = 3.7 states/eV/cell
1.0
3.5682 0.0000 0.0000
0.0000 4.8533 0.0000
-1.7911 0.0000 6.1146
Y Mg In
2 1 1
Direct
0.0000 0.0000 0.0000
0.3347 0.5000 0.6686
0.7347 0.0000 0.4684
0.5972 0.5000 0.1937

=====

[2]
TmZn, optimized geometry, DFT GGA-PBEsol; formation energy = -0.355 eV per atom; DOS(E_F) = 2.0 states/eV/cell
1.0
3.4589 0.0000 0.0000
0.0000 3.4589 0.0000
0.0000 0.0000 3.4589
Tm Zn
1 1
Direct
0.0000 0.0000 0.0000
0.5000 0.5000 0.5000

=====

[3]
LaZn2In, optimized geometry, DFT GGA-PBEsol; formation energy = -0.311 eV per atom; DOS(E_F) = 2.7 states/eV/cell
1.0
2.1705 1.2531 5.6140
-2.1705 1.2531 5.6140
0.0000 -2.5063 5.6140
La Zn In
1 2 1
Direct
0.0000 0.0000 0.0000
0.2158 0.2158 0.2158
0.5361 0.5361 0.5361
0.7929 0.7929 0.7929

=====

[4]
CrNi2, optimized geometry, DFT GGA-PBEsol; formation energy = 0.057 eV per atom; DOS(E_F) = 12.4 states/eV/cell
1.0
6.7740 0.0000 0.0000
-3.3870 5.8665 0.0000
0.0000 0.0000 2.3984
Cr Ni
3 6
Direct
0.0000 0.0000 0.0000
0.3333 0.6667 0.5000
0.6667 0.3333 0.5000
0.0000 0.3536 0.0000
0.0000 0.6901 0.5000
0.3099 0.3099 0.5000
0.3536 0.0000 0.0000
0.6464 0.6464 0.0000
0.6901 0.0000 0.5000

=====

Which of these has the lowest DOS(E_F)?
TmZn

=====

The highest DOS(E_F) belongs to which entry?
CrNi2

=====

Which value of formation energy does entry 1 give?
-0.300 eV per atom

=====

VASP calculation (GGA-PBE) on NaAuS after structural relaxation.

POSCAR file:
```
NaAuS
1.0
5.565 0.000 0.000
0.000 7.046 0.000
0.000 0.000 7.292
Na Au S
4 4 4
Cartesian
0.000 0.879 1.823
0.000 6.167 5.469
2.783 2.644 5.469
2.783 4.402 1.823
0.000 3.523 0.000
0.000 3.523 3.646
2.783 0.000 0.000
2.783 0.000 3.646
0.000 2.070 5.469
0.000 4.975 1.823
2.783 1.453 1.823
2.783 5.593 5.469
```

Summary:
Crystal system: orthorhombic
Volume in Å³ per cell: 285.9
Energy in eV/cell: -42.75

=====

No. 1
Density functional theory data (GGA-PBE) for a geometry-optimized Tl2ZnCl structure.

Properties
Excess energy over the best structure of this formula in the dataset ... 216 meV/atom
Formation energy (no corrections) ... -0.097 eV per atom

Structure (POSCAR):
```
Tl2ZnCl
1.0
5.413 0.000 0.000
2.706 4.687 0.000
2.706 1.562 4.419
Tl Cl Zn
2 1 1
Direct
0.750 0.750 0.750
0.000 0.000 0.000
0.500 0.500 0.500
0.250 0.250 0.250
```

=====

No. 2
Density functional theory data (GGA-PBE) for a geometry-optimized Be4CoGe structure.

Properties
Energy of formation ... -94 meV per atom

Structure (POSCAR):
```
=====

2019-08-26 22:48:59 UTC  

I treat everybody equally until they act fucking retarded, Merlin

2019-08-26 22:49:03 UTC  


2019-08-26 22:49:04 UTC  

No, you literally cited a chronology that is BACKWARDS FROM REALITY

2019-08-26 22:49:11 UTC  

so you treat yourself differently?

2019-08-26 22:49:16 UTC  

everything you've said has been directly confronted and debunked. the ball's been in your court this whole time

2019-08-26 22:49:18 UTC  

and then you doubled down and started doing adhom when we told you this

2019-08-26 22:49:19 UTC  

g1 vr0

2019-08-26 22:49:21 UTC  

or is that onyl when you look in a mirror?

2019-08-26 22:49:27 UTC  


2019-08-26 22:49:34 UTC  

respect for Merlin dropping every 20 seconds

2019-08-26 22:49:39 UTC  

pls stop...

2019-08-26 22:49:43 UTC  

>it's an expression

2019-08-26 22:49:55 UTC  

>you're going to levels of pedantry that shouldn't be possible

2019-08-26 22:50:01 UTC  

>it's like you're factchecking a meme

2019-08-26 22:50:20 UTC  

is there a reverse equivilant of #Full_Macintosh?

2019-08-26 22:50:43 UTC  

I am convinced that Merlin is larping at this point just to take the piss out of everbody

2019-08-26 22:50:57 UTC  

"I was only pretending to be retarded"

2019-08-26 22:50:58 UTC

2019-08-26 22:51:04 UTC  

Stargate is shit

2019-08-26 22:51:09 UTC  
2019-08-26 22:51:14 UTC  

well the moment you all started getting white knighty what else was i to do?

2019-08-26 22:51:28 UTC  


2019-08-26 22:51:33 UTC  

hur duuur m'ladys

2019-08-26 22:51:41 UTC  

Dunno man, you seemed like you were moments from shooting a woman like the Supreme Gentleman

The following is a DFT calculation (PBE) of crystalline TiPSe2N at its relaxed geometry.

excess energy over the best structure of this formula in the dataset: 23.9 meV per atom
energy: -5.40 eV/atom
formation energy without anion corrections: 319.1 meV/atom
spin magnetization: 0.0 μB/cell
N(E_F): 5.24 states/eV per cell

Lattice parameters (Å, degrees): 4.9726 4.9726 3.2925 90.00 90.00 90.00
Last column: nearest neighbours and their distance in Å.
Fractional coordinates of all 5 atoms:
P1 0.0000 0.0000 0.0000  2 N 1.65
Ti1 0.5000 0.5000 0.5000  8 Se 2.98, 2 Ti 3.29
N1 0.0000 0.0000 0.5000  2 P 1.65
Se1 0.5000 0.0000 0.0000  2 P 2.49
Se2 0.0000 0.5000 0.0000  2 P 2.49

~~~~~

[1]
## CaCoAu (GGA-PBEsol)

Data for a relaxed CaCoAu crystal.

abc: 4.144 4.144 3.984
angles: 90.00 90.00 120.00
Fractional positions:
Co 0.667 0.333 0.500
Ca 0.333 0.667 0.000
Au 0.000 0.000 0.500

Fermi-level density of states: 0.99 states/eV per atom
symmetry: P-6m2 (187)
total magnetization: 0.062 μB/atom
formation energy: -71 meV/atom

***

[2]
## Ca2CoAu (GGA-PBEsol)

Data for a relaxed Ca2CoAu crystal.

abc: 4.794 4.794 4.794
angles: 60.00 60.00 60.00
Fractional positions:
Co 0.250 0.250 0.250
Ca 0.000 0.000 0.000
Ca 0.750 0.750 0.750
Au 0.500 0.500 0.500

Fermi-level density of states: 1.60 states/eV per atom
symmetry: F-43m (216)
total magnetization: 0.146 μB/atom
formation energy: 116 meV/atom

***

[3]
## Ca2HfCoAu (GGA-PBEsol)

Data for a relaxed Ca2HfCoAu crystal.

abc: 4.230 5.803 5.803
angles: 90.00 90.00 90.00
Fractional positions:
Hf 0.000 0.000 0.000
Ca 0.000 0.000 0.500
Ca 0.000 0.500 0.000
Au 0.500 0.500 0.500
Co 0.500 0.000 0.000

Fermi-level density of states: 1.10 states/eV per atom
symmetry: P4/mmm (123)
total magnetization: 0.000 μB/atom
formation energy: 942 meV/atom

***

[4]
## CaCoOsAu2 (GGA-PBEsol)

Data for a relaxed CaCoOsAu2 crystal.

abc: 4.676 4.921 4.921
angles: 90.00 90.00 90.00
Fractional positions:
Os 0.500 0.000 0.000
Ca 0.000 0.000 0.000
Au 0.000 0.000 0.500
Au 0.000 0.500 0.000
Co 0.500 0.500 0.500

Fermi-level density of states: 1.86 states/eV per atom
symmetry: P4/mmm (123)
total magnetization: 0.580 μB/atom
formation energy: 2318 meV/atom

***

[5]
## CaCrAu2 (GGA-PBEsol)

Data for a relaxed CaCrAu2 crystal.

abc: 4.740 4.740 4.740
angles: 60.00 60.00 60.00
Fractional positions:
Cr 0.250 0.250 0.250
Ca 0.500 0.500 0.500
Au 0.000 0.000 0.000
Au 0.750 0.750 0.750

Fermi-level density of states: 0.65 states/eV per atom
symmetry: F-43m (216)
total magnetization: 1.110 μB/atom
formation energy: 7 meV/atom

***

[6]
## CaCr3Au (GGA-PBEsol)

Data for a relaxed CaCr3Au crystal.

abc: 4.194 4.194 4.194
angles: 90.00 90.00 90.00
Fractional positions:
Cr 0.000 0.500 0.000
Cr 0.000 0.000 0.500
Cr 0.500 0.000 0.000
Ca 0.000 0.000 0.000
Au 0.500 0.500 0.500

2019-08-26 22:51:47 UTC  

also whats my display picture of?

2019-08-26 22:51:51 UTC  

white knights are just as revisionist historians as you are right now. We're accurately citing historical events

2019-08-26 22:51:51 UTC  

thatll give you a clue

2019-08-26 22:51:53 UTC  

fuck wits

2019-08-26 22:51:53 UTC  

Is he literally doing the "I was pretending to be retarded" meme

2019-08-26 22:51:55 UTC  

"display picture"

2019-08-26 22:51:57 UTC  

>MA levels of boomer

2019-08-26 22:52:03 UTC  

@ryvergate Unironically, yes

2019-08-26 22:52:12 UTC  

Ah okay he is just retarded